Hard disk verifies/repairs OK but can't boot, re-install or erase


I have a problem with my Powerbook (Tibook) G4 667.

It won’t boot. After the initial grey screen, it gets as far as a completely blue screen and eventually resorts to the Darwin console (?).

I'm running OS X 10.4.? (sorry - can’t remember when I last updated this machine). The 40 Gb internal drive is partitioned: HDA (start-up disk) 35 GB; HDB 2.5 Gb; HDC 2.5Gb.

This is the ‘family’ computer and is shared by five users for internet and general use.

I don’t use this machine often as I also have a 17” G4 1.5 (Alubook) running 10.4.7.

When I was told that it was behaving oddly I managed to save the ‘Users’ folder onto an external FW drive.

Here the article breaks off for materials data >
[1]
Computed, not measured: a relaxed structure of OsC at the GGA-PBE level of DFT.

Results
The space-group type is F-43m. For the total energy, the calculation gives -9.5110 eV per atom. As for the formation energy: 0.717 eV/atom.

abc: 3.261 3.261 3.261
angles: 60.00 60.00 60.00
Element x y z (fractional)
Os (0.000, 0.000, 0.000)
C (0.750, 0.750, 0.750)

=====

[2]
Computed, not measured: a relaxed structure of OsC at the GGA-PBE level of DFT.

Results
The space-group type is Fm-3m. For the total energy, the calculation gives -8.8362 eV per atom. As for the formation energy: 1.392 eV/atom.

abc: 3.084 3.084 3.084
angles: 60.00 60.00 60.00
Element x y z (fractional)
Os (0.000, 0.000, 0.000)
C (0.500, 0.500, 0.500)

=====

[3]
Computed, not measured: a relaxed structure of Os2C3 at the GGA-PBE level of DFT.

Results
The space-group type is Pbcn. For the total energy, the calculation gives -8.8560 eV per atom. As for the formation energy: 1.172 eV/atom.

abc: 10.080 7.625 5.121
angles: 90.00 90.00 90.00
Element x y z (fractional)
Os (0.000, 0.017, 0.250)
Os (0.000, 0.425, 0.750)
Os (0.000, 0.575, 0.250)
Os (0.000, 0.983, 0.750)
Os (0.234, 0.186, 0.249)
Os (0.234, 0.814, 0.749)
Os (0.266, 0.314, 0.749)
Os (0.266, 0.686, 0.249)
Os (0.500, 0.075, 0.250)
Os (0.500, 0.483, 0.750)
Os (0.500, 0.517, 0.250)
Os (0.500, 0.925, 0.750)
Os (0.734, 0.314, 0.751)
Os (0.734, 0.686, 0.251)
Os (0.766, 0.186, 0.251)
Os (0.766, 0.814, 0.751)
C (0.075, 0.201, 0.540)
C (0.075, 0.799, 0.040)
C (0.118, 0.381, 0.085)
C (0.118, 0.619, 0.585)
C (0.188, 0.071, 0.887)
C (0.188, 0.929, 0.387)
C (0.312, 0.429, 0.387)
C (0.312, 0.571, 0.887)
C (0.382, 0.119, 0.585)
C (0.382, 0.881, 0.085)
C (0.425, 0.299, 0.040)
C (0.425, 0.701, 0.540)
C (0.575, 0.299, 0.460)
C (0.575, 0.701, 0.960)
C (0.618, 0.119, 0.915)
C (0.618, 0.881, 0.415)
C (0.688, 0.429, 0.113)
C (0.688, 0.571, 0.613)
C (0.812, 0.071, 0.613)
C (0.812, 0.929, 0.113)
C (0.882, 0.381, 0.415)
C (0.882, 0.619, 0.915)
C (0.925, 0.201, 0.960)
C (0.925, 0.799, 0.460)

=====

[4]
Computed, not measured: a relaxed structure of OsC at the GGA-PBE level of DFT.

Results
The space-group type is P-6m2. For the total energy, the calculation gives -9.3119 eV per atom. As for the formation energy: 0.916 eV/atom.

abc: 2.948 2.948 2.730
angles: 90.00 90.00 120.00
Element x y z (fractional)
Os (0.000, 0.000, 0.000)
C (0.667, 0.333, 0.500)

=====

[5]
Computed, not measured: a relaxed structure of PrPOs2C at the GGA-PBE level of DFT.

Results
The space-group type is Cmcm. For the total energy, the calculation gives -8.8128 eV per atom. As for the formation energy: -0.437 eV/atom.

abc: 5.874 5.874 7.147
angles: 90.00 90.00 140.54
Element x y z (fractional)
Pr (0.046, 0.954, 0.750)
Pr (0.954, 0.046, 0.250)
P (0.230, 0.770, 0.250)
P (0.770, 0.230, 0.750)
Os (0.332, 0.668, 0.554)
Os (0.332, 0.668, 0.946)
Os (0.668, 0.332, 0.054)
Os (0.668, 0.332, 0.446)
C (0.500, 0.500, 0.000)
C (0.500, 0.500, 0.500)

=====
The materials data stop here >

I can access the drive from my Alubook connected to the sick Tibook in FW target mode, although the Tibook HDA (the start-up partition) takes ages to show up on the Alubook desktop.

I have run Disk Utility from both the Tiger installation DVD and via FW from the Alubook and each time all partitions verify OK. I’ve run repair as well and this also gives an OK verdict.

As I now have copies of the data on the drive I have tried reinstalling the system from the Tiger DVD but the drive does not appear as a destination for installation (it doesn’t appaear at all, just the DVD and Network options are visible). I have tried to erase the drive but I get an ‘I/O error’ message when attempting to erase from the DVD disk utility and a ‘Can’t unmount disk’ error when attempting via FW from the Alubook.

I’ve tried everything along the lines of ‘fsck’ etc. as advised by Apple at the link below


Everything checks out ‘OK’ though I did get a line mentioning Disk I/O error on one ‘fsck’ cycle but it still reported everything as being OK.

It may well be that the drive is dead, but all the tests keep telling me it is alive.

Does anyone have any ideas?

Thanks very much.

If the computer will boot from the installation disk, that gives me the impression that the hard drive has failed. I wouldn't be surprised if it's a Fujitsu or Toshiba drive either. :-)
Assuming worst case - that the hard disk drive needs replacing (and you are contemplating a replacement), consider ...

01. Connect the two Macs together, via a Firewire cable.
02. Boot the problem Powerbook (Tibook) into 'Target' mode.
03. Via the 17” G4 PowerBook's 'Disk Utility' erase (and optionally - partition) the Tibook.
04. Insert the 'Tiger Install DVD' into the 17” G4 PowerBook, and attempt to install onto the Tibook.

Tell us your results.
Thank you.

I tried all combinations of erase and install running Disk Utility from the Alubook with the sick Tibook in Target mode and from the Tiger install DVD in the Tibook. I also ran Disk Warrior but it quit at the final stage. It seems the problem is that the drive won’t write, as a result I can’t erase or partition or install (when attempting to empty trash the drive seems to hit a sector where it just gently ticks and then freezes). The strange thing is that Disk Utility still seems to think that all three partitions are Ok (!)

I have recovered the important user data and am now resigned to replacing the drive. Any suggestions for drive models and suppliers. I’m in the UK. (It also needs a new battery).

Thanks again

Materials data that have nothing to do with the piece:
┌──
Record 1
A geometry-optimized CoB2O4 structure. Source: Materials Project, functional PBE+U.

## Properties
ΔH_f (0 K) = -54.7 kcal/mol of atoms

Cell and atoms, written as CIF:
```
data_CoB2O4
_space_group_name_H-M_alt 'P 1'
_space_group_IT_number 1
_cell_length_a 4.4563
_cell_length_b 5.5081
_cell_length_c 9.7357
_cell_angle_alpha 92.02
_cell_angle_beta 81.35
_cell_angle_gamma 74.59
loop_
_space_group_symop_operation_xyz
'x,y,z'
loop_
_atom_site_label
_atom_site_fract_x
_atom_site_fract_y
_atom_site_fract_z
_atom_site_occupancy
Co1 0.7500 0.3295 0.6705 1
Co2 0.2500 0.6705 0.3295 1
Co3 0.7500 0.8294 0.1706 1
Co4 0.2500 0.1706 0.8294 1
B1 0.1243 0.2264 0.1471 1
B2 0.1242 0.7263 0.6472 1
B3 0.3758 0.1661 0.4604 1
B4 0.3757 0.6662 0.9604 1
B5 0.8758 0.2737 0.3528 1
B6 0.8757 0.7736 0.8529 1
B7 0.6243 0.3338 0.0396 1
B8 0.6242 0.8339 0.5396 1
O1 0.4792 0.6090 0.1008 1
O2 0.4791 0.1089 0.6008 1
O3 0.0208 0.0443 0.2460 1
O4 0.0209 0.5443 0.7459 1
O5 0.5209 0.8911 0.3992 1
O6 0.5208 0.3910 0.8992 1
O7 0.9791 0.4557 0.2541 1
O8 0.9792 0.9557 0.7540 1
O9 0.4656 0.1658 0.1129 1
O10 0.4657 0.6656 0.6129 1
O11 0.0343 0.2478 0.4736 1
O12 0.0343 0.7478 0.9736 1
O13 0.5343 0.3344 0.3871 1
O14 0.5344 0.8342 0.8871 1
O15 0.9657 0.2522 0.0264 1
O16 0.9657 0.7522 0.5264 1
```

Record 2
A geometry-optimized CoBO3 structure. Source: Materials Project, functional PBE+U.

## Properties
ΔH_f (0 K) = -45.3 kcal/mol of atoms
Symmetry = P-1, No. 2

Cell and atoms, written as CIF:
```
data_CoBO3
_space_group_name_H-M_alt 'P 1'
_space_group_IT_number 1
_cell_length_a 4.9051
_cell_length_b 5.2666
_cell_length_c 5.6018
_cell_angle_alpha 88.52
_cell_angle_beta 109.81
_cell_angle_gamma 117.18
loop_
_space_group_symop_operation_xyz
'x,y,z'
loop_
_atom_site_label
_atom_site_fract_x
_atom_site_fract_y
_atom_site_fract_z
_atom_site_occupancy
Co1 0.9483 0.3598 0.7358 1
Co2 0.0517 0.6402 0.2642 1
B1 0.6421 0.7238 0.7418 1
B2 0.3579 0.2762 0.2582 1
O1 0.3073 0.6273 0.6355 1
O2 0.7625 0.5454 0.8689 1
O3 0.8562 0.9910 0.7125 1
O4 0.1438 0.0090 0.2875 1
O5 0.2375 0.4546 0.1311 1
O6 0.6927 0.3727 0.3645 1
```

Record 3
A geometry-optimized Co4B6O13 structure. Source: Materials Project, functional PBE+U.

## Properties
ΔH_f (0 K) = -54.2 kcal/mol of atoms
Symmetry = I-43m, No. 217
Piezoelectric modulus e_max = 0.139 C/m²

Cell and atoms, written as CIF:
```
data_Co4B6O13
_space_group_name_H-M_alt 'P 1'
_space_group_IT_number 1
_cell_length_a 6.5323
_cell_length_b 6.5330
_cell_length_c 6.5330
_cell_angle_alpha 70.55
_cell_angle_beta 70.52
_cell_angle_gamma 109.48
loop_
_space_group_symop_operation_xyz
'x,y,z'
loop_
_atom_site_label
_atom_site_fract_x
_atom_site_fract_y
_atom_site_fract_z
_atom_site_occupancy
Co1 0.0000 0.6929 0.9998 1
Co2 0.0000 0.0002 0.3071 1
Co3 0.6927 0.9999 0.0001 1
Co4 0.3073 0.3072 0.6928 1
B1 0.5000 0.7500 0.7500 1
B2 0.7501 0.5001 0.7500 1
B3 0.2499 0.5000 0.2500 1
B4 0.2499 0.7500 0.5000 1
B5 0.7501 0.2500 0.4999 1
B6 0.5000 0.2500 0.2500 1
└──
The piece goes on:

I would highly recommend that you get a Hitachi Travelstar drive. I've been repairing macs for years and can tell you with the utmost confidence that they have the highest reliability. When I absolutely cannot get a Hitachi drive, I'll settle for a Seagate with confidence.

Avoid Toshiba and Fujitsu drives -- I'll bet the drive in your laptop is one of those brands.
There's no doubt, all hard drives fail at some time. They are mechanical in nature, spin at a high rate of speed using a motor and bearings, so they're all gonna die sometime. The question is how quickly.